On Friday, CMS posted its latest drafts of the cost transparency rule for hospitals and payers. The agency plans to display the following information about each hospital-based shoppable service: a plain-language description, the payer-specific negotiated charge, a list of all the associated ancillary items and services that the hospital provides with the shoppable service, the location at which each shoppable service is provided, and any primary code used by the hospital for purposes of accounting or billing. Payers will be expected to make the following data elements available: claims payment policies and practices, periodic financial disclosures, data on enrollment, data on disenrollment, data on number of claims that are denied, data on rating practices, information on cost sharing and payments with respect to any out-of-network coverage, and information on enrollee and participant rights. For a covered item or service, the payer would need to disclose the following content elements “in plain language:” estimated cost-sharing liability, accumulated amounts (e.g., deductible, out-of-pocket limit), negotiated rate, out-of-network allowed amount, items and services content list (for bundled payment arrangements), notices of prerequisites to coverage, and disclosure notice.
Here’s a sample of what CMS expects to show patients/consumers:
Here are the 70 services CMS plans to include (the other 230 will be defined by hospitals):

CMS points to a 2014 publication showing that individuals who shop for clinical services can save nearly $125 on advanced imaging services, $3.45 for laboratory tests and $1.18 for clinician office visits. Interestingly, that publication found that claims payments were lower for searchers were lower than non-searchers, even if there was no cost sharing. Simply posting hospital prices appears to reduce the rate of charge growth among included DRGs somewhere between two and nine percent. Kentucky provides patient rewards for service shopping (e.g., up to $500 for a hip replacement, $150 for a colonoscopy, $150 for a cataract removal, and $25 for a mammogram). Between 2010 and 2013, one grocery chain with a $1200 annual deductible with 20% coinsurance for its employees was able to reduce laboratory spend over 30% using a combination of price transparency and reference pricing at 60% of each region’s negotiated prices for a subset of laboratory tests that were ordered under specific circumstances.
There are several concerns around the agency’s proposed approach. Patients are not as informed as buyers of healthcare goods and services compared to providers and health systems selling those goods and services. Some have suggested that patients would be better served by viewing an estimate of their total expected costs instead of the payer-specific negotiated charge. Patients may also be reluctant to disrupt their relationship with their primary care provider to save a few dollars and potentially disrupt the continuity of care within a specific medical center. In January 2019, Chernew et al. found that the referring physician’s recommendation was more important than cost-sharing or home ZIP code when choosing a lower-limb MRI scan provider. Besides being difficult to interpret, prices listed on chargemasters are poorly correlated with prices patients might have to pay if they do not have insurance or are out-of-network. Others are concerned that a lack of accompanying quality information might encourage consumers to believe that higher price is linked to higher quality (there are parallels to understanding the value of attending different colleges). In Japan, price transparency revealed relatively low prices, encouraging patients to request more services.
Our experience with exposing pharmaceutical price information may be informative. Arrangements between pharmacy benefit managers (usually affiliated with specific health insurance companies) and pharmaceutical manufacturers are opaque to end-users. Higher prices can induce higher rebates that result in better formulary placement. One retrospective study published in August 2019 found drug discount programs saved about $18/prescription without price transparency. Another study found that displaying pharmaceutical pricing information to providers did not result in a sustained change in institutional expenditure (there are similar findings with exposing radiology test price information to primary care providers and specialists).
Sinaiko and Rosenthal reviewed utilization of Aetna’s Member Payment Estimator (including over 650 medical services) among a commercial population in 2011-12. The Estimator asks for the family member for whom the search is being conducted, the provider’s ZIP code, and the service or type of physician needed. In 2012, the Estimator would return up to 10 results per query. During those two years, fewer than two percent of members used the Estimator. Among the services that members searched the Estimator, vaginal delivery or cesarean section, tonsillectomy (with or without adenoidectomy), total knee replacement and inguinal herniorrhaphy prices appeared to viewed most frequently among those members who actually had the procedure performed within 180 days of the search. On a related note, 59% of searches returned a price estimate for only one provider. Desai et al. published similar results in JAMA (2016) and Health Affairs (2017).
These quantum chemistry results were left in the piece by mistake.
........
[1]
{
  "formula": "C5H8O2",
  "method": "ωB97M-V/def2-TZVPD",
  "relative_energy_kcal_mol": 103.9,
  "homo_lumo_gap_ev": 9.355,
  "energy_ev": -9405.3267,
  "symbols": ["O", "O", "C", "C", "C", "C", "C", "H", "H", "H", "H", "H", "H", "H", "H"],
  "xyz": [[-1.216, 0.181, 1.879], [-0.769, -0.058, -1.524], [1.590, 0.456, -1.778], [-0.326, -0.818, 1.439], [-2.402, 0.177, 1.386], [0.628, -0.208, 0.464], [0.460, 0.002, -0.880], [0.318, -1.123, 2.201], [1.328, 0.239, -2.765], [2.589, 0.067, -1.562], [-1.042, -1.703, 1.158], [1.575, 1.567, -1.645], [-1.500, 0.012, -0.963], [-2.793, 1.234, 1.647], [1.560, -0.025, 0.943]],
  "lowdin_charge": [-0.163, 0.063, -0.020, -0.221, 0.040, -0.043, -0.320, 0.090, 0.055, 0.088, 0.155, 0.106, 0.037, 0.039, 0.095]
}


[2]
{
  "formula": "C53H56MoN6O2P2SSe2",
  "method": "ωB97M-V/def2-TZVPD",
  "homo_lumo_gap_ev": [6.455, 6.427],
  "energy_ev": -230863.9776,
  "multiplicity": 2,
  "total_charge": 1,
  "s2": 0.757,
  "symbols": ["Mo", "Se", "Se", "S", "P", "P", "O", "O", "N", "N", "N", "N", "N", "N", "C", "C", "C", "C", "C", "C", "C", "C", "C", "C", "C", "C", "C", "C", "C", "C", "C", "C", "C", "C", "C", "C", "C", "C", "C", "C", "C", "C", "C", "C", "C", "C", "C", "C", "C", "C", "C", "C", "C", "C", "C", "C", "C", "C", "C", "C", "C", "C", "C", "C", "C", "C", "C", "H", "H", "H", "H", "H", "H", "H", "H", "H", "H", "H", "H", "H", "H", "H", "H", "H", "H", "H", "H", "H", "H", "H", "H", "H", "H", "H", "H", "H", "H", "H", "H", "H", "H", "H", "H", "H", "H", "H", "H", "H", "H", "H", "H", "H", "H", "H", "H", "H", "H", "H", "H", "H", "H", "H", "H"],
........
Some groups are currently operating without a federal mandate. New Hampshire, Florida, and Massachussetts have published online tools to help their residents understand healthcare prices (until recently, California had a working price comparison website). Healthcare Bluebook, an employer-focused website with some functionality for consumers, suggests that up to 30% of a company’s healthcare costs come from shoppable procedures. They have sections for hospital services, physician visits, imaging, labs, cosmetic medicine, hearing aids, dental and medications. The website links to GoodRx for prescriptions and MDsave for physicians who can perform a procedure. The website lists procedures separately, so facilities that are the least expensive for screening colonoscopy may be different than colonoscopy with biopsy. Although the website describes its efforts to stratify service providers by quality, my review of the consumer-facing portions of the website not linked to an employer sponsor did not reveal any quality ratings.
So what can we take from all of these findings? First, there are structural challenges to encouraging patients to use pricing information to make more cost-effective healthcare decisions that are not addressed by the proposed CMS rules. State and private efforts to emphasize price transparency have been poorly adopted by the general public. Second, there may be some actions that groups can take to promote cost-based choices among patients acting as consumers. Reference pricing may be more effective than rewards programs. Sinaiko, Kakani and Rosenthal estimated marketwide price information used to steer members to lower-price providers with a price ceiling at the 75th percentile of statewide prices could generate 9-12.8% savings in Massachussetts. Kricher, Royce et al. suggest price transparency be accompanied by:
## Attached: quantum chemistry results
********
Below is 8 unconnected molecules or ions with the total composition C44H102O30P6 in a non-equilibrium geometry, with properties calculated with ωB97M-V with the def2-TZVPD basis set.

```
182
Properties=species:S:1:pos:R:3:mulliken_charge:R:1
C -7.87 22.51 -8.86 -1.101
C -7.39 22.73 -7.40 0.026
O -6.91 21.54 -6.98 -0.324
P -5.35 21.14 -6.95 0.704
O -4.80 20.52 -8.20 -0.395
O -5.34 20.15 -5.66 -0.423
C -5.89 18.86 -5.76 -0.156
C -6.30 18.27 -4.47 -1.303
O -4.45 22.33 -6.29 -0.294
C -3.47 22.94 -7.02 0.865
C -2.63 23.74 -6.08 -1.572
H -8.67 21.77 -8.84 0.308
H -8.09 23.48 -9.31 0.405
H -7.11 22.08 -9.51 0.249
H -6.55 23.42 -7.43 0.075
H -8.17 23.06 -6.71 0.296
H -6.67 18.74 -6.51 0.329
H -5.18 18.22 -6.27 0.296
H -5.48 18.24 -3.75 0.310
H -7.00 18.95 -3.98 0.301
H -6.57 17.21 -4.53 0.377
H -2.78 22.18 -7.37 -0.295
H -3.83 23.52 -7.87 0.125
H -3.11 24.25 -5.24 0.391
H -2.03 23.03 -5.51 0.429
H -2.07 24.48 -6.64 0.360
C -0.97 37.72 -13.36 -1.410
C -2.21 36.86 -13.38 -1.583
O -1.88 35.79 -14.28 0.335
P -2.34 34.18 -14.18 5.275
O -2.99 33.63 -13.01 -0.896
O -3.20 33.81 -15.48 -0.555
C -4.49 34.17 -15.62 -2.230
C -4.63 35.53 -16.24 -1.675
O -0.89 33.49 -14.55 -0.396
C -0.01 33.25 -13.47 -0.044
C 1.30 32.50 -13.79 -1.506
H -1.35 38.64 -12.91 0.472
H -0.11 37.37 -12.79 0.295
H -0.76 38.01 -14.39 0.268
H -2.21 36.40 -12.39 0.016
H -3.23 37.21 -13.48 0.540
H -5.03 33.40 -16.17 0.422
H -4.87 34.20 -14.60 0.578
H -4.19 35.76 -17.21 0.167
H -5.62 36.00 -16.26 0.476
H -4.03 36.19 -15.62 0.011
H 0.18 34.24 -13.05 0.139
H -0.53 32.60 -12.77 0.032
H 1.12 31.49 -14.15 0.290
H 1.93 33.13 -14.42 0.402
H 1.90 32.37 -12.89 0.459
C 2.53 20.36 -13.25 -0.829
C 1.57 21.57 -13.28 -0.060
O 2.14 22.71 -13.98 -0.150
P 3.48 23.38 -13.55 0.641
O 4.73 22.57 -13.79 -0.792
O 3.45 24.80 -14.35 -0.101
C 4.15 24.89 -15.53 -0.341
C 3.59 26.05 -16.36 -1.028
O 3.15 23.90 -12.01 -0.056
C 4.23 24.24 -11.06 -0.498
C 4.71 25.68 -11.18 -1.024
H 3.59 20.60 -13.33 0.386
H 2.39 19.74 -12.36 0.155
H 2.33 19.80 -14.16 0.264
H 0.54 21.48 -13.63 0.390
H 1.53 21.89 -12.24 -0.114
H 5.23 24.97 -15.36 0.299
H 4.07 23.89 -15.96 0.332
H 3.85 27.02 -15.95 0.325
H 3.97 26.05 -17.38 0.406
H 2.51 25.91 -16.28 0.033
H 3.68 24.09 -10.13 0.360
H 5.02 23.50 -10.93 0.405
H 5.58 25.64 -10.53 0.365
H 4.85 26.03 -12.21 0.216
H 4.15 26.41 -10.61 0.317
C -10.23 32.56 -9.79 -1.245
C -8.92 32.20 -9.11 -0.231
O -8.34 31.12 -9.86 -0.170
P -6.86 30.44 -9.52 0.912
O -6.96 29.63 -8.29 -0.756
O -6.48 29.77 -10.93 -0.139
C -6.04 30.35 -12.21 -1.085
C -4.64 30.06 -12.51 0.306
O -5.71 31.54 -9.45 0.006
C -4.44 31.44 -8.96 -0.106
C -3.65 32.43 -9.94 -1.219
H -10.79 33.19 -9.10 0.368
H -10.10 33.06 -10.75 0.332
H -10.66 31.57 -9.90 0.297
H -8.26 33.06 -9.09 0.290
H -9.12 31.82 -8.11 0.308
H -6.62 29.92 -13.03 0.414
H -6.27 31.41 -12.27 0.290
H -4.17 30.85 -13.09 -0.461
H -3.96 29.86 -11.67 0.206
H -4.57 29.16 -13.13 0.319
H -4.49 31.62 -7.89 0.377
H -3.92 30.48 -9.00 -0.020
H -3.76 32.26 -11.01 0.064
H -3.89 33.49 -9.88 0.400
********
## So much for the quantum chemistry results
- All states developing all-payer claims databases (APCDs),
- Cost data being interpretable and inclusive,
- Standardized, evidence-based quality metrics being incorporated into transparency models to account for value, and
- Minimal cost sharing for procedures below the median of APCDs and deemed to be of high value.
Another approach to price transparency might focus on separate reference pricing for definitive diagnosis, initial treatment after diagnosis, and long-term surveillance. A singular focus on unit pricing may not account for quality within each of those episodes. A low-price radiology image could lead to a missed diagnosis and larger total cost of care. Although laboratory and radiology testing in themselves may be a small portion of an organization’s overall healthcare spend, those diagnostic services may drive utilization in other spending silos (e.g., medication, office visits). Payers and employers could evaluate the outcome of each care segement (diagnosis, treatment, surveillance) using cost, satisfaction, quality-of-life or any other member/employee-preferred metric. The recategorization of healthcare goods and services (e.g., expected costs for managing a pregnancy from conception to vaginal delivery versus separate line items for blood test panels, ultrasound of a pregnant uterus and vaginal delivery) would translate existing healthcare encounter codes and procedure codes into customer-friendly units of analysis. Separating healthcare into diagnosis, treatment and surveillance could also help patients conceptualize their care as blocks that could be managed by separate face-to-face or digital entities.